Job
Work out how many lines underneath have the word "Zr" in them; a number is enough, please.

Source
+++
Entry 1:
A molecular structure, C2H3OPY at a distorted geometry, computed with the ωB97M-V functional and the def2-TZVPD basis.

The geometry in XYZ format:
```
8
Properties=species:S:1:pos:R:3:lowdin_charge:R:1
C 1.184 0.734 0.221 0.029
H 1.424 0.853 -0.836 0.050
Y -2.862 -1.327 -0.479 1.313
H -0.078 -0.111 1.697 0.112
C 0.187 -0.056 0.634 -0.377
O -0.608 -0.830 -0.116 -0.712
P -0.997 -0.569 -2.077 0.517
H 1.750 1.306 0.956 0.069
```

Computed properties:
HOMO level = -11.464 eV
Kohn-Sham gap = 5.4255 eV
LUMO energy = -6.039 eV
total charge = +1

Entry 2:
C2H3PS3 in the gas phase at a distorted geometry, computed with the ωB97M-V functional and the def2-TZVPD basis.

The geometry in XYZ format:
```
9
Properties=species:S:1:pos:R:3:lowdin_charge:R:1
C -0.414 0.438 0.381 -1.153
H 1.166 1.055 -0.833 0.016
S -0.714 1.535 -2.071 0.396
S -0.415 3.072 -0.909 0.145
C 0.287 0.473 -0.899 -0.669
P -0.698 -0.907 1.365 0.790
H 0.461 -0.605 -1.472 0.145
H -0.876 -0.125 2.446 -0.198
S -0.786 2.072 0.896 0.528
```

Computed properties:
HOMO level (alpha / beta) = -6.443 / -8.742 eV
2S+1 = 3
Kohn-Sham gap (alpha / beta) = 6.6061 / 6.2122 eV
LUMO energy (alpha / beta) = 0.163 / -2.530 eV
total charge = 0

~~~~~

[1]
{
  "formula": "C36H49As2Ge2OSZr",
  "method": "ωB97M-V/def2-TZVPD",
  "elements": ["Zr", "C", "C", "Ge", "C", "C", "C", "C", "Ge", "C", "C", "C", "C", "C", "C", "C", "C", "C", "C", "H", "H", "H", "H", "H", "H", "H", "H", "H", "H", "H", "H", "H", "H", "H", "H", "H", "H", "H", "H", "H", "H", "H", "H", "H", "H", "C", "As", "C", "C", "C", "C", "C", "C", "C", "As", "C", "C", "H", "H", "H", "H", "H", "H", "H", "H", "H", "H", "H", "H", "H", "H", "H", "H", "C", "C", "O", "S", "C", "C", "C", "C", "C", "C", "C", "C", "H", "H", "H", "H", "H", "H", "H"],
+++

Result
1